Saturday, September 27, 2014

I give up!

From today onward, I promise myself that I will never plan any trip or vacation to go anywhere with them ever again. Somehow these days, whenever I suggest on going somewhere, most of them would reject my ideas, one way or the other. I guess my plans and words are getting less and less appreciated these days. 

In year one, I planned for a Langkawi trip, everyone was so enthusiastic and the trip was great. In year two, I planned for a Kota Kinabalu trip, the number of people who agreed was half the number in year one, but the trip was still awesome. This year, I tried to plan for a Thailand/Bali trip, and you've guessed it, it was never going to happen. I understand why it's difficult, because we'll be crossing the border, and this might be hard for some of them to get their parents to agree. Some more, money will surely become an issue. 

I really understood all of those reasons, so I decided that instead of making our trip further and further each year, I planned for a small trip to the northern states of Malaysia, such as Penang and Perak. Just when I thought I've finally gotten most of them to agree with my plan, they came out with their own idea of going to Taman Negara. In the end, most of them preferred to do that. 

I really felt like shit, like no one cares about my efforts to try to plan trips for them. Surely I understand their reasons, some of them prefer tough activities rather than going on road trips, some of them just rather not drive their cars up to the north, I really understood. But still, I feel like shit. I tried so hard to make something happen, whether it's Thailand, Bali or north Malaysia, but in the end it's all useless. Why do I keep planning when I know they won't accept any of my ideas? I'm even scared to propose ideas to them these days, because of the rejections that I might get in the end.

Sometimes I really wish I have a girlfriend who shares my common interests, maybe I can plan so many trips with her and everything would be so awesome. When that so successful Langkawi trip ended, I really thought I have found a group of people who shares my interest in seeing the world, in going to different places and in living life.

I have never been so wrong.

Wednesday, September 17, 2014

The day that I dreaded the most

After so long, you finally have a crush on someone. Ever since I gave up around 3 years ago, you have always been single and perhaps available. Because of this, deep down in my heart, I've always thought that maybe I still have that little bit of hope of winning your heart one day. Even though in this 3 years, I dated someone else or liked some other girls, you have always been in my mind, I've never forgotten the girl I regard as 'perfect' in my life. Now that you have finally found someone special, I wish you can be happy, and I'll be happy for you too if this works out. Perhaps I can be the 黄晓明 in your life, and you can be the 赵薇 in my life too. No matter what, I'll always care about you, look at you from afar, and pray for you. Just take care, okay? :')

Thursday, August 28, 2014

Stop showing off!

Sometimes it's really annoying when some people think that just because they have girlfriends or really close female friends and I am single, that gives them the right to show off about it. There's a lot of reasons why some people are still single, maybe they just haven't met the right person, or maybe they have some personality imperfection, or maybe they just don't want to start a new relationship. No matter what the reason is, it doesn't give anyone who is not single the right to show off their status, assholes!!

For example, I have this housemate who broke up with his girlfriend a few months ago. When he was sad and emo and all that, he became very very close to another girl, so naturally people will start to tease them about it, and that includes me. So one time when I teased him about it, he went like "I know you're jealous la Albert, I know I can attract girls very easily, HAHAHA!" I was like what the heck, here I was still a bit concerned of him still being depressed of his breakup with his ex, he came around and bragged about his 'attractiveness to girls' to me, the heck -.-

At that moment, I really wanted to tell him that he must be really glad to have broken up with his ex because he wants to attract more girls, but I didn't. I already said this before, from now on I'm going to use this blog to express my emotions so that maybe I'll feel better afterwards. Reading all my three recent posts makes me feel like I'm a whiner, but hey, so so few people visit my blog these days, maybe less than 3, so yeah, whatever la.

Friday, August 22, 2014

My roommate

I've been roommates with my current roommate for more than 1.5 years now, and we've known each other for more than 2 years, so much has changed. We used to be quite close, I think. We were able to talk a lot, I would tell him what's on my mind, he would tell me random interesting stuffs, we could even joke a lot with each other. That's all changed now.

I'm not sure what happened really, maybe it's because of me, but I really don't know. Nowadays he just minds his own business, and he can go the whole day without talking to me even once. The things that I say most often to him these days are 'Hey, I sleep first', 'What time are you going to class? I follow you, okay?' That's about it, I guess. He won't ever tell me random things and really talk to me anymore. He always has random interesting dreams when he sleeps at night, and he used to share those with me, but not anymore these days. We don't joke with each other anymore, though he consistently does it with my other housemates. I tried a few times to talk to him, tell him stuffs, but he'll either ignore me or just says okay.

I don't think he realizes the change like I do, I don't think he cares, unlike me, who is really sensitive as I mentioned before. I'm not really sure what happened, maybe I did something wrong? Or maybe he developed a bad impression of me, like what I mentioned in the last post? I don't know what I should do about it, but what I do know is that I still need to stay roommates with him for the next 1.5 years, so no matter what, I still have to make do with it. Life goes on...

Wednesday, August 20, 2014

I'm back here, and I know why.

Well, I don't really know when I last posted in my blog, but I guess in life, when you can't find anyone close to you to confide in your problems anymore, this is where you end up, typing away to a lifeless computer, and hoping that this may somehow spare you some comfort. That is exactly what is happening to me right now, no more people to lend me their ears.

I have a bunch of friends in my course. They are nice people, always cracking random funny jokes, doing things together. I like spending time with them, I really do. But recently, I feel like I'm starting to become a nuisance to them, a problem. This is not sudden, it's been for quite a while now. I really do feel like sometimes when I talk, I create problems with my mouth. I know myself well, I am someone who is very direct, I will tell you directly how I feel about things, but I guess this gets me into trouble from time to time, and I think it has left a bad perception of me in all of them.

Just last Thursday, we were having a gathering at their place, and playing this game called Resistance. The game basically consists of two teams, where the Resistance team must figure who are the spies, with everyone not knowing each other's identity. So, this one time, one of my friend started accusing me of being one of the spies (which I was!), but to deny it, I begin to complain why he always accuse me. He replied me 'Why you always merajuk one? You always merajuk about everything.' At that very moment, I came to the realization that, this is how everyone thinks of me actually, someone who cannot stand anything and complains about every other thing. I was really depressed after that, though I try my best not to show it.

I mean like, I complained about so much stuffs to them, I showed my emotions to them, it's only because I trusted them, I felt like in front of them, I don't need to hide my feelings. Of course, I know it's wrong to feel unhappy about things, I shouldn't do that, and I should control my bad temper. But in the end, they all think I'm someone who 'merajuk' about too many things, who is too sensitive to too many things (which I guess I am), and now I don't feel like telling anyone of them about this.

In addition, a few days ago, one of my housemate created a whatsapp group for one of my friend's birthday celebration, and he kept asking us to reply in the group. So, at that moment, without thinking, I just replied that it's so weird that housemates have to reply in the whatsapp group just because other ppl are not replying. I guess it was stupid of me, not thinking that it was quite late and everyone would have been asleep. The next morning, I woke up to a whatsapp reply which one other friend said she slept already the night before, and 'plz dont try to create conflict for every bday planning'. I felt so bad at that moment, because it wasn't my intention to create any conflict, I just wanted everyone to reply more actively, and it seems to them that I'm someone who always create conflicts. To be fair, I did create conflicts for ONE birthday plan before, but I guess that was enough to create an impression to them of me being the creator of conflicts for 'every bday planning'.

So, what now? My bunch of friends here think I'm someone who 'merajuk about everything' and 'always try to create conflicts'. I feel sad, because I'm really trying to change my bad habits. It's easier said than done, so sometimes I feel like I should just avoid hanging out with them, so that I will talk to them less, and hence create less conflicts and have less a chance to merajuk about anything to them. This way, they can be happier, and I wouldn't feel so depressed too. But it's difficult too, to stop hanging out with them, because I literally stay with half of them in a house. Sigh, sometimes I really feel like running away.

+++
AcLaInAu: optimized geometry, PBE-GGA.

Results
Spin magnetization ... 0.00 μB/f.u.
DFT formation energy ... -0.62 eV/atom
N(E_F) ... 4.02 states/eV/cell
SG ... No. 99

```
4
Lattice="-3.759 -0.905 0.167 0.816 -2.954 2.364 -0.897 4.913 6.448" Properties=species:S:1:pos:R:3 pbc="T T T"
Au -2.004 0.984 5.089
In -1.579 -1.341 2.038
La -0.338 1.850 2.428
Ac -0.752 4.120 5.407
```

----------

Entry from the Alexandria database: an optimized crystal structure of LiNd2ZnRh2 (GGA-PBE).

The structure in CIF format:
```
data_LiNd2ZnRh2
_chemical_formula_sum 'Li2 Nd4 Zn2 Rh4'
_cell_length_a 5.697
_cell_length_b 5.720
_cell_length_c 8.513
_cell_angle_alpha 109.63
_cell_angle_beta 109.55
_cell_angle_gamma 90.00
_space_group_name_H-M_alt 'P 1'
_space_group_IT_number 1
_space_group_name_Hall 'P 1'
loop_
_atom_site_label
_atom_site_fract_x
_atom_site_fract_y
_atom_site_fract_z
Li1 0.000 0.750 0.000
Li2 0.000 0.250 0.000
Nd1 0.416 0.168 0.336
Nd2 0.584 0.832 0.664
Nd3 0.080 0.332 0.664
Nd4 0.920 0.668 0.336
Zn1 0.500 0.750 0.000
Zn2 0.500 0.250 0.000
Rh1 0.867 0.123 0.247
Rh2 0.380 0.623 0.247
Rh3 0.620 0.377 0.753
Rh4 0.133 0.877 0.753
```

## Properties
- Raw total energy: -61.52 eV/cell
- Formation energy from the elements: -0.56 eV per atom
- Density of states at the Fermi level: 0.342 states/eV/atom
- Space group: Ibam
- Crystal system: orthorhombic
- ρ: 7.7 g/cm3
+++

I don't know how many people still visit my blog these days. I certainly hope the less the better. Maybe one day I will come to regret ever writing this post, but what is there to regret when none of them really cares about me anyway? In the end, I realized that, they will actually be better off without me hanging out with them :(